# Source
********
Record 1
Compound: LaMn2IrOs
Source: the Alexandria database
Functional: GGA-PBEsol
Structure: optimized geometry

Uncorrected energy = -8.112 eV per atom
Calculated volume = 21.9 Å³/atom
Formation enthalpy at 0 K = 6.35 eV per formula unit

a b c (Å): 4.4518 4.4518 5.5230
angles (deg): 90.00 90.00 90.00
Closest atoms and distances in Å follow each position.
Positions (direct):
La (0.0000, 0.0000, 0.0000)  2 Os 2.76
Mn (0.0000, 0.5000, 0.5000)  2 Os 2.23
Mn (0.5000, 0.0000, 0.5000)  2 Os 2.23
Ir (0.5000, 0.5000, 0.0000)  4 La 3.15
Os (0.0000, 0.0000, 0.5000)  4 Mn 2.23

Record 2
Compound: LiTl2InGe
Source: the Alexandria database
Functional: GGA-PBEsol
Structure: optimized geometry

Uncorrected energy = -2.707 eV per atom
Calculated volume = 32.2 Å³/atom
Formation enthalpy at 0 K = 1.61 eV per formula unit

a b c (Å): 5.5693 5.5693 5.1886
angles (deg): 90.00 90.00 90.00
Closest atoms and distances in Å follow each position.
Positions (direct):
Li (0.0000, 0.0000, 0.0000)  8 Tl 3.81, 4 In 3.94
Tl (0.0000, 0.5000, 0.5000)  2 Ge 2.78
Tl (0.5000, 0.0000, 0.5000)  2 Ge 2.78
In (0.5000, 0.5000, 0.0000)  2 Ge 2.59
Ge (0.5000, 0.5000, 0.5000)  2 In 2.59, 4 Tl 2.78

Record 3
Compound: Mg2AlW
Source: the Alexandria database
Functional: GGA-PBEsol
Structure: optimized geometry

Uncorrected energy = -4.975 eV per atom
Calculated volume = 17.3 Å³/atom
Formation enthalpy at 0 K = 1.43 eV per formula unit

a b c (Å): 2.9937 4.8225 9.5662
angles (deg): 90.00 90.00 90.00
Closest atoms and distances in Å follow each position.
Positions (direct):
Mg (0.0000, 0.0000, 0.0000)  2 W 2.84, 4 Al 2.84, 4 Mg 2.95-2.99
Mg (0.0000, 0.5000, 0.2337)  4 W 2.84, 2 Al 2.85, 4 Mg 2.95-2.99
Mg (0.5000, 0.0000, 0.7337)  4 W 2.84, 2 Al 2.85, 4 Mg 2.95-2.99
Mg (0.5000, 0.5000, 0.5000)  2 W 2.84, 4 Al 2.84, 4 Mg 2.95-2.99
Al (0.0000, 0.0000, 0.4803)  2 W 2.64, 6 Mg 2.84-2.85
Al (0.5000, 0.5000, 0.9803)  2 W 2.64, 6 Mg 2.84-2.85
W (0.0000, 0.5000, 0.7526)  2 Al 2.64, 6 Mg 2.84
W (0.5000, 0.0000, 0.2526)  2 Al 2.64, 6 Mg 2.84

Record 4
Compound: MgRu3S
Source: the Alexandria database
Functional: GGA-PBEsol
Structure: optimized geometry

Uncorrected energy = -5.109 eV per atom
Calculated volume = 17.2 Å³/atom

a b c (Å): 4.4150 4.4150 4.4150
angles (deg): 90.00 90.00 90.00
Closest atoms and distances in Å follow each position.
Positions (direct):
Mg (0.0000, 0.0000, 0.0000)  6 Ru 2.21
Ru (0.0000, 0.0000, 0.5000)  2 Mg 2.21
Ru (0.0000, 0.5000, 0.0000)  2 Mg 2.21
Ru (0.5000, 0.0000, 0.0000)  2 Mg 2.21
S (0.5000, 0.5000, 0.5000)  12 Ru 3.12

Record 5
Compound: TlH3Pt
Source: the Alexandria database
Functional: GGA-PBEsol
Structure: optimized geometry

Uncorrected energy = -3.809 eV per atom
Calculated volume = 10.6 Å³/atom

a b c (Å): 3.7563 3.7563 3.7563
angles (deg): 90.00 90.00 90.00
Closest atoms and distances in Å follow each position.
Positions (direct):
Tl (0.0000, 0.0000, 0.0000)  12 H 2.66
H (0.0000, 0.5000, 0.5000)  2 Pt 1.88
H (0.5000, 0.0000, 0.5000)  2 Pt 1.88
H (0.5000, 0.5000, 0.0000)  2 Pt 1.88
Pt (0.5000, 0.5000, 0.5000)  6 H 1.88

Record 6
Compound: NbAs2HSe
Source: the Alexandria database
Functional: GGA-PBEsol
Structure: optimized geometry

Uncorrected energy = -5.315 eV per atom
Calculated volume = 18.2 Å³/atom

a b c (Å): 5.0274 5.0274 3.5987
angles (deg): 90.00 90.00 90.00
Closest atoms and distances in Å follow each position.
Positions (direct):
Nb (0.0000, 0.0000, 0.0000)  2 H 1.80
As (0.0000, 0.5000, 0.0000)  2 Nb 2.51
As (0.5000, 0.0000, 0.0000)  2 Nb 2.51
H (0.0000, 0.0000, 0.5000)  2 Nb 1.80
Se (0.5000, 0.5000, 0.5000)  8 As 3.09

D(E_F) (computed, states/eV per cell): 4.8 2.5 4.8 6.6 1.2 4.1
Magnetization (computed, μB per cell): 5.80 0.00 0.00 0.60 0.00 0.00

----------

# 1
{
  "formula": "Dy3In3NiRu2",
  "functional": "GGA-PBE",
  "state": "relaxed",
  "cell": [[3.8493, 0.0000, 0.0000], [0.0000, 7.5099, 0.0000], [0.0000, -3.7550, 6.5038]],
  "species": ["Ru", "Ru", "Dy", "Dy", "Dy", "In", "In", "In", "Ni"],
********
# What to do
Now give back the whole of the contents further up unchanged.
# Done
Record 1
Compound: LaMn2IrOs
Source: the Alexandria database
Functional: GGA-PBEsol
Structure: optimized geometry

Uncorrected energy = -8.112 eV per atom
Calculated volume = 21.9 Å³/atom
Formation enthalpy at 0 K = 6.35 eV per formula unit

a b c (Å): 4.4518 4.4518 5.5230
angles (deg): 90.00 90.00 90.00
Closest atoms and distances in Å follow each position.
Positions (direct):
La (0.0000, 0.0000, 0.0000)  2 Os 2.76
Mn (0.0000, 0.5000, 0.5000)  2 Os 2.23
Mn (0.5000, 0.0000, 0.5000)  2 Os 2.23
Ir (0.5000, 0.5000, 0.0000)  4 La 3.15
Os (0.0000, 0.0000, 0.5000)  4 Mn 2.23

Record 2
Compound: LiTl2InGe
Source: the Alexandria database
Functional: GGA-PBEsol
Structure: optimized geometry

Uncorrected energy = -2.707 eV per atom
Calculated volume = 32.2 Å³/atom
Formation enthalpy at 0 K = 1.61 eV per formula unit

a b c (Å): 5.5693 5.5693 5.1886
angles (deg): 90.00 90.00 90.00
Closest atoms and distances in Å follow each position.
Positions (direct):
Li (0.0000, 0.0000, 0.0000)  8 Tl 3.81, 4 In 3.94
Tl (0.0000, 0.5000, 0.5000)  2 Ge 2.78
Tl (0.5000, 0.0000, 0.5000)  2 Ge 2.78
In (0.5000, 0.5000, 0.0000)  2 Ge 2.59
Ge (0.5000, 0.5000, 0.5000)  2 In 2.59, 4 Tl 2.78

Record 3
Compound: Mg2AlW
Source: the Alexandria database
Functional: GGA-PBEsol
Structure: optimized geometry

Uncorrected energy = -4.975 eV per atom
Calculated volume = 17.3 Å³/atom
Formation enthalpy at 0 K = 1.43 eV per formula unit

a b c (Å): 2.9937 4.8225 9.5662
angles (deg): 90.00 90.00 90.00
Closest atoms and distances in Å follow each position.
Positions (direct):
Mg (0.0000, 0.0000, 0.0000)  2 W 2.84, 4 Al 2.84, 4 Mg 2.95-2.99
Mg (0.0000, 0.5000, 0.2337)  4 W 2.84, 2 Al 2.85, 4 Mg 2.95-2.99
Mg (0.5000, 0.0000, 0.7337)  4 W 2.84, 2 Al 2.85, 4 Mg 2.95-2.99
Mg (0.5000, 0.5000, 0.5000)  2 W 2.84, 4 Al 2.84, 4 Mg 2.95-2.99
Al (0.0000, 0.0000, 0.4803)  2 W 2.64, 6 Mg 2.84-2.85
Al (0.5000, 0.5000, 0.9803)  2 W 2.64, 6 Mg 2.84-2.85
W (0.0000, 0.5000, 0.7526)  2 Al 2.64, 6 Mg 2.84
W (0.5000, 0.0000, 0.2526)  2 Al 2.64, 6 Mg 2.84

Record 4
Compound: MgRu3S
Source: the Alexandria database
Functional: GGA-PBEsol
Structure: optimized geometry

Uncorrected energy = -5.109 eV per atom
Calculated volume = 17.2 Å³/atom

a b c (Å): 4.4150 4.4150 4.4150
angles (deg): 90.00 90.00 90.00
Closest atoms and distances in Å follow each position.
Positions (direct):
Mg (0.0000, 0.0000, 0.0000)  6 Ru 2.21
Ru (0.0000, 0.0000, 0.5000)  2 Mg 2.21
Ru (0.0000, 0.5000, 0.0000)  2 Mg 2.21
Ru (0.5000, 0.0000, 0.0000)  2 Mg 2.21
S (0.5000, 0.5000, 0.5000)  12 Ru 3.12

Record 5
Compound: TlH3Pt
Source: the Alexandria database
Functional: GGA-PBEsol
Structure: optimized geometry

Uncorrected energy = -3.809 eV per atom
Calculated volume = 10.6 Å³/atom

a b c (Å): 3.7563 3.7563 3.7563
angles (deg): 90.00 90.00 90.00
Closest atoms and distances in Å follow each position.
Positions (direct):
Tl (0.0000, 0.0000, 0.0000)  12 H 2.66
H (0.0000, 0.5000, 0.5000)  2 Pt 1.88
H (0.5000, 0.0000, 0.5000)  2 Pt 1.88
H (0.5000, 0.5000, 0.0000)  2 Pt 1.88
Pt (0.5000, 0.5000, 0.5000)  6 H 1.88

Record 6
Compound: NbAs2HSe
Source: the Alexandria database
Functional: GGA-PBEsol
Structure: optimized geometry

Uncorrected energy = -5.315 eV per atom
Calculated volume = 18.2 Å³/atom

a b c (Å): 5.0274 5.0274 3.5987
angles (deg): 90.00 90.00 90.00
Closest atoms and distances in Å follow each position.
Positions (direct):
Nb (0.0000, 0.0000, 0.0000)  2 H 1.80
As (0.0000, 0.5000, 0.0000)  2 Nb 2.51
As (0.5000, 0.0000, 0.0000)  2 Nb 2.51
H (0.0000, 0.0000, 0.5000)  2 Nb 1.80
Se (0.5000, 0.5000, 0.5000)  8 As 3.09

D(E_F) (computed, states/eV per cell): 4.8 2.5 4.8 6.6 1.2 4.1
Magnetization (computed, μB per cell): 5.80 0.00 0.00 0.60 0.00 0.00

----------

# 1
{
  "formula": "Dy3In3NiRu2",
  "functional": "GGA-PBE",
  "state": "relaxed",
  "cell": [[3.8493, 0.0000, 0.0000], [0.0000, 7.5099, 0.0000], [0.0000, -3.7550, 6.5038]],
  "species": ["Ru", "Ru", "Dy", "Dy", "Dy", "In", "In", "In", "Ni"],